
Thursday, 4 March 2010

How can we increase the diversity of candidates?

Iain Dale has a post today entitled: "Why Don't the LibDems Select BME Candidates in Winnable Seats?". He makes the argument that the Conservatives have BME candidates in a number of winnable seats and estimates they will have between 11 and 16 BME MPs after the next election. He suggests there will be none on the Lib Dem benches.

In the comments, a number of people have taken him to task about his assumptions. LibCync points out that Operation Black Vote has identified 3 potentially winnable seats for the Lib Dems with BME candidates. He also points out that Nick Clegg has taken action to try and resolve this issue (see here and here).

Iain has rebutted this by suggesting that privately Lib Dem friends of his have expressed concern about the lack of BME representation and that the 3 seats identified are unlikely to be won.

I don't know if the seats cited will or will not be won by the Lib Dems but it is in the nature of the third party within our current electoral system to struggle to win seats. We have very few "safe" seats compared to the Tories who (certainly this year) will expect to have over 300 seats following the election. So comparing the raw numbers is pretty unfair. It strikes me that 16 BME candidates who have a shot at becoming an MP would be roughly 5% of the Parliamentary Conservative Party were they elected. 3 for the Lib Dems assuming we end up with roughly 60 seats again would also be 5% were they elected. Seems about the same to me and hardly a crisis situation.

But taking Iain directly up on his point about the chances of the 3 candidates OBV identified being quite low. That may be the case but it is not the Lib Dems fault that the electoral system is so stacked against it. We want to reform the electoral system to STV with multi-member constituencies. From the Electoral Reform Society, here is the second point from their website on advantages of STV:

With STV and multi-member constituencies, parties have a powerful electoral incentive to present a balanced team of candidates in order to maximise the number of higher preferences that would go to their sponsored candidates. This helps the advancement of women and ethnic-minority candidates, who are often overlooked in favour of a 'safer' looking candidate.

This is clearly an important issue and I am glad Iain is raising it. I wonder though if he might take another look at the benefits of electoral reform (that he has often been quick to dismiss in the past) and how it could help improve the chances of BME candidates for all parties.

UPDATE 14:45: Sunder Katwala has done a very detailed piece in response to both Iain and my posts here.


  1. It is easier to talk of BME candidates in seats you expect to gain, when you expect to gain more seats in the first place.

    And it is easier to put BME candidates in held seats when more of your MPs are standing down over dodgy expenses.

  2. I'd go so far as to say that the Lib Dems don't have safe seats in the same way as LabCon at all. The only seats where we have a comfortable majority are down to dedication and hard work over many years by the candidate in those seats. "Where we Work, We Win".

    Another sad fact is, we don't have the money needed to support our candidates as well as the other two.

    The tories have Ashcroft's money to burn, AND safe seats where if you put a donkey in a blue rosette people will vote for it. They can throw almost endless cash into campaigns in their marginal seats to put whatever candidates they like into parliament.

    In this party, we have a problem with diversity among our candidates because with the financial security and sheer amount of legwork that a PPC has to put in over years to win, our MPs, even our candidates are always going to be predominantly middle class white men.

    We are doing what we can to change this, but it's important to note too that we are never going to allow BME shortlists for exactly the same reasons as we're never going to allow all-women shortlists. So-called "positive" discrimination is still discrimination and it's fundamentally wrong. What we CAN do is offer as much in the way of training, mentoring, assistance and support to our minority candidates as we possibly can. So that's what we do. There's been an ongoing debate about what more we could and should do within the party for a long time - it's worth going and reading the comments here.

    It makes me sad that La Dale's blog post is now the top google hit for "lib dems bme" :(

  3. Mark, what about the London European slate of candidates. Not a black face among them. Doesnt that undermine your argument about PR?

  4. "Mark, what about the London European slate of candidates. Not a black face among them. Doesnt that undermine your argument about PR?"

    Not really. The Euro elections use the D'Hondt system of list PR (which most electoral reformers including myself do not like). That's a totally different system from STV in multi-member seats and it does not have the same in built benefits as mentioned above.

  5. Mark,

    I think the LibDems do need a different approach here. Its a constructive challenge to say that your strategy to diversify the Parliamentary group in 2010 really should go beyond try to (ocassionally) win high minority ethnic population seats like Leicester.

    Your comparison of the Tories and LibDems misses how the LibDems have got stuck in a systemic and predictable way since 1992. You often select most BME candidates of the 3 main parties, but are not likely to turn that into seats in any sustainable way while this largely seems to reflect a particular approach to ethnic diversity as 'community representation' which I would challenge as rather outdated and regressive certainly if taken too far.

    That approach can't in any event do much for the LibDems or Tories in seeking to challenge the traditional de facto Labour monopoly on BME representation. The political pressure symbolised by the A list did work in unstalling the Tories; you need to find an analogous approach which fits with the LibDem culture. I made one such LibDem specific suggestion in my Speakers Conference submission.

    * I am pro-electoral reform, but perhaps STV isn't always the answer to everything. The David Butler coordinated academic technical group (link in this list) reporting to the Jenkins Commission was sceptical about what could be claimed here, and it reported an STV simulation finding minority candidates doing worse.

    "Dunleavy et al (1997) found in a simulation that candidates with Asian or other ethnic names seemed to under-perform given their position in a party's slate. For example, when listed as the first name on Labour's slate for the North region, Ashok Kumar received only a third of first preferences for Labour, whereas normally the first candidate on a slate received around three-quarters of first preferences"

    PR would very likely have positive impacts on gender balance in representation (women are an under-represented majority group!); it is much harder to judge what its impact on ethnic diversity in the UK might be. What evidence there is suggests that public culture and party methods/cultures may well be more important than electoral system.

  6. Thanks for your comments Sunder.

    I will certainly follow your links and look into them more closely when I get the chance.

    Just one quick thing though. The quote from Dunleavy et al mentions party "slates" but STV allows votes for individuals rather than parties so I am a bit confused as to what the experiment was actually doing. Maybe I am misunderstanding the terminology though. Could you clarify?

  7. Can't be certain. But my reading of it is that they are simply saying that the experiment found that the first listed candidate for party A tended to average 75% of the first preferences going to candidates of party A (whereas 25% of those giving a first preference to that party voted first for candidates listed below them), but that Kumar's share was much lower.

# Records of crystals that have nothing to do with the article
=====
Starting from a structure optimized by DFT (GGA-PBE), the powder XRD pattern of LiTl2Pd3 was simulated for λ = 1.5418 Å (Cu Kα).
Neutral-atom scattering factors, no anomalous dispersion.

Most intense lines, 5 to 70 degrees two-theta, low angle first:
d [Å], I (rel.)
6.246, 16
2.964, 19
2.385, 28
2.376, 28
2.290, 100
1.683, 19
1.358, 18
1.355, 19

Cell and atoms:
```
data_LiTl2Pd3
_chemical_formula_sum 'Li2 Tl4 Pd6'
_cell_length_a 7.539
_cell_length_b 7.539
_cell_length_c 6.246
_cell_angle_alpha 90.00
_cell_angle_beta 90.00
_cell_angle_gamma 143.25
_symmetry_space_group_name_H-M 'P 1'
_symmetry_Int_Tables_number 1
loop_
_symmetry_equiv_pos_as_xyz
'x,y,z'
loop_
_atom_site_label
_atom_site_type_symbol
_atom_site_fract_x
_atom_site_fract_y
_atom_site_fract_z
Li1 Li 0.164 0.836 0.000
Li2 Li 0.836 0.164 0.000
Tl1 Tl 0.166 0.834 0.500
Tl2 Tl 0.500 0.500 0.000
Tl3 Tl 0.500 0.500 0.500
Tl4 Tl 0.834 0.166 0.500
Pd1 Pd 0.000 0.000 0.245
Pd2 Pd 0.000 0.000 0.755
Pd3 Pd 0.325 0.675 0.233
Pd4 Pd 0.325 0.675 0.767
Pd5 Pd 0.675 0.325 0.233
Pd6 Pd 0.675 0.325 0.767
```


This entry pairs a crystal structure of Ge2SbPb2 with its calculated powder diffractogram. Radiation: CuKα. Structure: a GGA-PBE-relaxed structure.
Neutral-atom scattering factors, no anomalous dispersion.

```
data_Ge2SbPb2
_cell_length_a 3.8175
_cell_length_b 3.8175
_cell_length_c 18.7024
_cell_angle_alpha 90.00
_cell_angle_beta 90.00
_cell_angle_gamma 90.00
_space_group_name_H-M_alt 'I 4/m m m'
_space_group_IT_number 139
_space_group_name_Hall '-I 4 2'
loop_
_atom_site_label
_atom_site_fract_x
_atom_site_fract_y
_atom_site_fract_z
Ge1 0.0000 0.5000 0.2500
Sb1 0.0000 0.0000 0.0000
Pb1 0.0000 0.0000 0.3918
```

Principal peaks in the range 2θ from 5° to 70°, in order of rising 2θ:
| two_theta | d_spacing | intensity | hkl |
| --- | --- | --- | --- |
| 23.79 | 3.740 | 334 | 1 0 1 |
| 27.40 | 3.256 | 590 | 1 0 3 |
| 33.19 | 2.699 | 277 | 1 1 0 |
| 33.54 | 2.672 | 1000 | 1 0 5 |
| 34.59 | 2.594 | 441 | 1 1 2 |
| 38.51 | 2.338 | 614 | 0 0 8 |
| 47.64 | 1.909 | 328 | 2 0 0 |
| 59.52 | 1.553 | 394 | 2 1 5 |
| 60.19 | 1.537 | 277 | 1 1 10 |
| 62.85 | 1.479 | 182 | 2 0 8 |
=====
# Back to the article

    So I don't think more is meant by "slates" than that the (multiple) candidates would have been grouped together by party on the sample ballot paper.

  8. MArk, it's ten years since I read the study, but essentially each party was assumed to put up a number of candidates ("slate"), which were, IIRC, grouped on the ballot paper.

    Then the test voters voted according to preference. Most voters chose the top candidate on the list for their party first, except where it was an asian name, where the first preferences spread out.

    It was an OK study, but I recall having some issues with some of their methodology. However, I'm not sure I even wrote down notes on it, let alone be able to find them.

    Other than that, I've commented at the LibCon crosspost and at Sunder's, but I agree with what Steph's said here; we don't have safe seats, and overwhelmingly our selectees are local activists or have strong local links; they need this, as our hold on any individual seat is always tenuous if the MPs personal vote is gone.
